We Need One Another
by Gordon T. Smith 
January 28, 2019
Gordon T. Smith

Dr. Gordon Smith

Growing up in Latin America, I was part of a Christian community that was decidedly and firmly “Evangelical”, which meant and was defined as: not Catholic; not Pentecostal.

Our pastor was not ambivalent on this score; he was firm in his denunciations of both.  On any given Sunday we could count on him to point in one direction toward the Catholic cathedral, or point in the other direction toward the “Pentecostal Temple,” and remind us of the error of their ways. We would be curious as to who it would be this Sunday . . . would he point to his right or to his left this time around? And we would joke as young people that on special Sundays he would denounce both!  

Between two parts of the page: materials data:
┌──
(1)
This entry pairs a crystal structure of TiMoN3 with its computed XRD peak list. Radiation: Cu Kα X-rays. Structure: a cell relaxed with GGA-PBE.
Kinematic intensities with the Lorentz-polarization factor, no thermal factor.

Crystal structure
a = 5.1046 Å, b = 2.9563 Å, c = 6.6916 Å
α = 90.00°, β = 104.64°, γ = 90.00°
Space group Cm (No. 8)
Unique sites:
Ti: 0.0000 0.0000 0.0000 x2
Mo: 0.3031 0.5000 0.4076 x2
N: 0.0355 0.5000 0.6066 x2
N: 0.1065 0.5000 0.8192 x2
N: 0.4031 0.0000 0.2076 x2

Most intense lines, 10° ≤ 2θ ≤ 90°, most intense first:
2theta  I/Imax
42.3  100
35.4  70
13.7  68
27.6  45
39.8  41
63.0  22
59.8  22
39.9  21
36.3  17
64.1  17



(2)
This entry pairs a crystal structure of LiAlC with its computed XRD peak list. Radiation: Cu Kα X-rays. Structure: a cell relaxed with GGA-PBE.
Kinematic intensities with the Lorentz-polarization factor, no thermal factor.

Crystal structure
a = 3.0417 Å, b = 4.5494 Å, c = 5.5962 Å
α = 90.04°, β = 105.48°, γ = 109.53°
Space group P-1 (No. 2)
Unique sites:
Li: 0.0846 0.3040 0.3652 x2
Al: 0.2943 0.2215 0.8723 x2
C: 0.3956 0.8925 0.3960 x2

Most intense lines, 10° ≤ 2θ ≤ 90°, most intense first:
2theta  I/Imax
25.3  100
45.0  82
39.5  75
39.7  74
20.8  51
28.0  44
32.1  40
44.1  40
41.5  37
37.8  34



(3)
This entry pairs a crystal structure of Pm4GaH with its computed XRD peak list. Radiation: Cu Kα X-rays. Structure: a cell relaxed with GGA-PBE.
Kinematic intensities with the Lorentz-polarization factor, no thermal factor.

Crystal structure
a = 8.8612 Å, b = 3.7205 Å, c = 11.2388 Å
α = 90.00°, β = 119.51°, γ = 90.00°
Space group P2/c (No. 13)
Unique sites:
Pm: 0.1243 0.0034 0.1749 x4
Pm: 0.2989 0.4849 0.0019 x4
Ga: 0.5000 0.0215 0.7500 x2
H: 0.0000 0.5000 0.0000 x2

Most intense lines, 10° ≤ 2θ ≤ 90°, most intense first:
2theta  I/Imax
30.2  100
32.2  30
58.7  26
42.8  22
36.1  20
32.3  18
33.5  16
25.9  15
43.8  15
32.5  15

=====

U2Co3O8: computed PXRD pattern (Cu Kα X-rays), based on a DFT-relaxed cell (GGA+U, Alexandria).
Kinematic intensities with the Lorentz-polarization factor, no thermal factor.

Crystal structure
```
U2Co3O8
1.0
5.1563 0.0000 0.0000
0.0000 10.3976 0.0000
0.0000 0.0000 6.1465
U Co O
4 6 16
Direct
0.0438 0.2337 0.0000
0.4562 0.7337 0.5000
0.5438 0.2663 0.5000
0.9562 0.7663 0.0000
0.0000 0.0000 0.5000
0.0000 0.5000 0.2623
0.0000 0.5000 0.7377
0.5000 0.0000 0.2377
0.5000 0.0000 0.7623
0.5000 0.5000 0.0000
0.1805 0.5973 0.0000
0.2018 0.5881 0.5000
0.2040 0.8488 0.2672
0.2040 0.8488 0.7328
0.2960 0.3488 0.2328
0.2960 0.3488 0.7672
0.2982 0.0881 0.0000
0.3195 0.0973 0.5000
0.6805 0.9027 0.5000
0.7018 0.9119 0.0000
0.7040 0.6512 0.2328
0.7040 0.6512 0.7672
0.7960 0.1512 0.2672
0.7960 0.1512 0.7328
0.7982 0.4119 0.5000
0.8195 0.4027 0.0000
```

Top 12 peaks for 10° ≤ 2θ ≤ 90°, in order of rising 2θ:
└──

When it came to other church groups, what emerged from this whole way of thinking is that we defined ourselves as over against the “errors” of the other. Thus anything that even seemly remotely Catholic was to be avoided and eschewed. A few examples: No candles! Nothing at all that seemed to indicate any possibility that the sacraments might be a means of grace. Nothing by way of visuals or paintings on the walls. I could go on; we had quite the list.  

And it was not just the Catholics. My father was at one point censored for merely attending a wedding at a Lutheran church because the Lutherans had not sufficiently rejected the “superstitious sacramentality” of Rome. And in terms of the Pentecostals, we assiduously avoided anything that might indicate that the Holy Spirit was active and present – in any kind of immediate way.  The Holy Spirit had inspired the Bible, centuries ago, and now the Spirit was at most present to help us understand the Bible. I am almost inclined to say that in my tribe, we worshiped the Triune God of Father, Son and Holy Scripture(!). 

This might all seem rather quaint now, but recently I heard of an Evangelical church that was losing members who said that their church was becoming “too Catholic” because they were exploring the possibility of celebrating at the Lord’s Table more frequently. When I heard this I was stunned by what seemed the continued proclivity to assume that the way we are and have always been is all we ever need to be or do. Are we still doing this – defining ourselves over against the other?

What Can We Learn from the Other?

Is it not an urgent need of our day that we be asking: What can we learn from the other? Where and in what ways might there be wisdom that has been “housed” within another church tradition or spiritual heritage that might be wisdom for our day and that could, indeed, be invaluable for us?

My suggestion is that we ask this question with respect to three essential elements of what it means to be the church.  This is not the only way to think of the church, but it is one way in which we can foster our shared learning from another: to think of the church through three distinct lenses — liturgical, catechetical, and missional.

We are a worshipping community: to be the church is to be the gathered people of God who bring unbounded praise and adoration to the Triune God.

=====
Theoretical powder X-ray diffraction pattern
Compound: Ac2La12Zn7
Radiation: CuKα
Structure: a crystal structure in Alexandria, relaxed with PBE
Kinematic intensities with the Lorentz-polarization factor, no thermal factor.

Most intense lines, 5° ≤ 2θ ≤ 70°, in order of falling intensity:
(2 1 1), 28.5°, intensity 100
(1 4 0), 38.2°, intensity 24
(0 0 2), 36.6°, intensity 20
(1 4 2), 54.0°, intensity 18
(1 3 1), 35.1°, intensity 13
(2 1 3), 61.0°, intensity 13
(4 0 0), 33.2°, intensity 9
(4 2 1), 48.3°, intensity 9
(3 0 1), 30.8°, intensity 8
(2 2 0), 28.7°, intensity 7
(3 2 1), 40.8°, intensity 6
(6 1 1), 59.2°, intensity 6

Cell and atoms:
Unit cell a=12.455 b=12.455 c=4.912 alpha=90.00 beta=90.00 gamma=120.00
Sites, in units of the cell vectors:
Ac: 0.000 0.000 0.000
Ac: 0.333 0.667 0.500
La: 0.065 0.276 0.500
La: 0.108 0.698 0.000
La: 0.211 0.935 0.500
La: 0.302 0.410 0.000
La: 0.390 0.170 0.000
La: 0.543 0.432 0.500
La: 0.568 0.111 0.500
La: 0.590 0.892 0.000
La: 0.724 0.789 0.500
La: 0.780 0.610 0.000
La: 0.830 0.220 0.000
La: 0.889 0.457 0.500
Zn: 0.086 0.452 0.000
Zn: 0.259 0.205 0.500
Zn: 0.366 0.914 0.000
Zn: 0.548 0.634 0.000
Zn: 0.667 0.333 0.000
Zn: 0.795 0.054 0.500
Zn: 0.946 0.741 0.500
=====

We are a catechetical community: to be the church is to be a teaching-learning community, where we engage the ancient faith and the witness of the Scriptures so that we know the renewing of our minds.

We are a missional community:  to be the church is to be engaged in the purposes of God in the world, acting in word and deed as we, in the name of Jesus, bring light and life to our cities, our countries and, indeed, our world.

And on each of these I wonder: where and in what ways can we acknowledge that we do not have all the wisdom we need? May we ask how we can learn from those within other Christian traditions who might bring a different perspective that would challenge our assumptions, stretch our vision of what it means to be the church, and actually encourage and equip us to more faithfully be the people of God?  

We do not need to fear the other or, of course, denounce the other. We can come to our Christian sisters and brothers from the disposition of an open heart and mind, assuming that we actually need to learn together and learn from one another if we are going to be faithful to the call of God to be the church in our time – as communities of worship, learning, and mission.

Rev. Gordon T. Smith, Ph.D., is president and professor of systematic and spiritual theology at Ambrose University in Calgary, Alberta.